_Given_
/*
DFT (wB97M-V/def2-TZVPD) results for a structure of composition C12H4BF2NO9Sn.

Each line ends with the Mulliken charge.
Atoms and positions in Å:
F (2.57674, -2.16436, -2.19227)  -0.1645
O (-4.34434, -4.47161, -0.80263)  -0.5535
O (0.84297, -0.79780, 0.68692)  -0.6459
B (1.65723, -2.85225, -1.55431)  0.3591
C (0.93783, 1.08628, -1.56614)  0.1294
O (-4.65986, 0.23123, 0.04081)  -0.5618
C (2.03601, 2.58549, -0.03279)  -0.6408
C (2.53941, 2.89032, 1.19659)  -0.4355
F (1.81849, -4.12778, -1.32230)  -0.1572
H (2.85503, 2.27374, 3.22521)  0.4929
O (0.42395, 0.04238, -2.00207)  -0.5770
N (3.17559, 4.19517, 1.40846)  1.0159
C (1.87474, 0.76089, 2.07681)  -0.7230
C (-2.76541, -2.64718, -0.68260)  0.9101
C (-4.07524, -3.31395, -0.63649)  0.0216
H (1.78929, 0.04821, 2.88479)  0.4616
O (3.60982, 4.42903, 2.51729)  -0.6152
O (-1.57526, -3.16995, -0.92505)  -0.9298
C (1.36099, 0.38718, 0.81554)  0.7634
O (3.23331, 4.95226, 0.46087)  -0.6135
C (-2.86477, -1.30127, -0.45611)  0.7107
O (-6.24553, -2.27237, -0.18713)  -0.5058
C (-4.24185, -0.86731, -0.20504)  -0.0474
C (1.43878, 1.33133, -0.25066)  0.6525
Sn (-0.15343, -1.70416, -0.85417)  1.4077
C (-5.06521, -2.16953, -0.32026)  0.4747
H (1.02633, 1.91585, -2.27706)  0.3826
O (-1.76268, -0.56613, -0.47723)  -0.7205
H (2.09945, 3.31243, -0.83196)  0.4998
C (2.45760, 1.98385, 2.26298)  -0.3906

The value obtained for the energy is -44368.276 eV. Its HOMO energy is -9.1272 eV. As for the charge: 0. The calculation puts the LUMO energy at -0.06694 Eh.

DFT (wB97M-V/def2-TZVPD) results for a structure of composition C12H4Cl5O6ReS2.

Each line ends with the Mulliken charge.
Atoms and positions in Å:
O (1.51581, -0.39613, -1.34757)  -0.6222
C (1.62188, -1.41845, 2.98602)  0.7944
C (-0.71698, 1.94470, -1.38495)  0.0837
H (-1.78018, 4.72582, -3.01056)  0.4278
H (0.16110, 1.25847, -4.58963)  0.5471
Cl (2.67715, -0.09397, 2.86551)  -0.1469
H (-1.66671, 3.74817, -0.76792)  0.5576
O (-0.51579, -1.29794, -1.83997)  -0.6538
C (-1.33059, 3.75143, -2.88247)  -0.6867
C (0.79205, -3.35869, 4.20197)  0.7575
O (-1.22951, 2.57599, 1.11432)  -0.5710
C (-0.09115, -3.67266, 3.15748)  -0.5081
C (-0.06001, -2.82969, 2.07630)  0.9377
Cl (-1.01663, -3.06961, 0.61921)  -0.1639
S (-0.71897, 1.50590, 0.35633)  1.4227
C (-1.27599, 3.18984, -1.60623)  -0.5391
H (-0.81846, 3.48704, -4.94735)  0.4242
C (0.72873, -1.69023, 1.94157)  -0.5028
O (-1.44336, 0.15453, 0.44168)  -0.5381
Cl (0.81915, -4.35559, 5.57849)  -0.1231
S (0.48305, -0.41213, -2.50599)  1.5594
C (-0.24072, 1.80672, -3.74881)  -0.5137
Re (0.23060, -0.91137, 0.11672)  1.0277
C (-0.80226, 3.06758, -3.95159)  -0.6470
C (-0.19592, 1.23266, -2.49363)  0.3208
C (1.65074, -2.25153, 4.11019)  -0.1845
Cl (-1.13229, -5.01906, 3.18846)  -0.1511
Cl (2.73251, -1.92412, 5.38617)  -0.1353
O (0.95223, -0.76668, -3.78351)  -0.5677
O (0.67053, 1.01901, 0.71975)  -0.6057

Its spin multiplicity is 2. The value obtained for the energy is -111197.087 eV. Its HOMO energy (spin up / spin down) is -12.3275 / -12.5311 eV. As for the charge: +1. As for the expectation value of S²: 0.76. The calculation puts the LUMO energy (spin up / spin down) at -0.20243 / -0.20353 Eh.

Calculated energy relative to the best compared isomer or geometry (same formula, charge and spin) (kcal per mole), listed in the same order as above: 0.0, 0.0


# 1
12
Properties=species:S:1:pos:R:3:lowdin_charge:R:1 method="wB97M-V/def2-TZVPD" e_homo_ev=-9.60 molar_mass_g_mol=108.10 e_lumo_ha=-0.05769 total_energy_ha=-373.75448 e_above_lowest_kcal_mol=56.7
C -1.16481 -0.09195 0.04081 -0.502
C 0.71196 -1.43378 -0.11017 -0.122
C 1.77506 -0.53009 0.16576 -0.121
C 0.58507 1.52633 -0.09322 -0.206
H -2.84973 0.83061 0.06726 0.083
H 1.05880 -2.51314 -0.20866 0.128
H 2.71032 -1.10312 0.25104 0.115
H 0.82157 2.61019 -0.16794 0.121
N -2.44532 -0.16260 0.08212 0.137
N -0.55913 -1.30969 -0.07891 0.137
N 1.73738 0.73761 0.01790 0.099
N -0.61645 1.21358 -0.01551 0.131

***

# 2
87
*/

_Wanted_
Quote the lines above from the one with "-0.1639" to the one with "-3.95159)" word for word.

_Result_
Cl (-1.01663, -3.06961, 0.61921)  -0.1639
S (-0.71897, 1.50590, 0.35633)  1.4227
C (-1.27599, 3.18984, -1.60623)  -0.5391
H (-0.81846, 3.48704, -4.94735)  0.4242
C (0.72873, -1.69023, 1.94157)  -0.5028
O (-1.44336, 0.15453, 0.44168)  -0.5381
Cl (0.81915, -4.35559, 5.57849)  -0.1231
S (0.48305, -0.41213, -2.50599)  1.5594
C (-0.24072, 1.80672, -3.74881)  -0.5137
Re (0.23060, -0.91137, 0.11672)  1.0277
C (-0.80226, 3.06758, -3.95159)  -0.6470